No time like the present.

Just as her chest rises on an inhale, I put my mouth on hers, sweeping my tongue across her bottom lip, tasting the first of what will be a lifetime of kisses. A desperate breath spills from her mouth and I suck it in deep, making her part of me in that moment.

My forehead bumps the top of the helmet as I slip a hand behind her neck, supporting the weight of her head and angling her into the heat of the kiss that is lighting up my darkest corners.

Our tongues meet and for a moment my heart stops. Her sigh fills my ears and directly connects to the tightening in my balls.

I withdraw. Not because I want to, oh no. I’d take her sweet, ripe ass right here on the street if I had my way.

It’s because for the first time in my life, I see the future. I’m a fucking felon, tattooed son-of-a-bitch that never once saw what I have just now seen the second our lips met.

What did I see? Goddamn picket fence, diaper changes, and college funds.

“Wow.” It’s like her glowing green eyes are lit from behind. There’s a fire in there that needs to be fanned and I’m just the guy to do it. “You know how to deliver donuts.”

I can’t help but laugh. “Like I said in there, you’re a VIP. And I’m at your service, so hop on. Where do you live? I’m taking you home to change clothes, then I’m taking you out.”

I give her a second to absorb that that’s without a doubt a statement, not a question, and she raises one eyebrow before tipping her head to the right and giving me the first of what will be a million of her smiles. The ones she’s saved her whole life just for me. Those smiles.

“Ferguson and Twenty-Second. But you have to tell me one thing first…”

The street names bring back memories. Something else we have in common. I used to live over in that same area It’s low rent, but decent.

“Anything,” I reply and the truth is I would tell her anything. Even the shit I don’t think she wants to know. I brace myself for whatever her question may be. And the consequences of my answer.

She gives me a dubious stare as she asks, “Are you expecting a tip?”

Havingher arms around my waist feels like coming home. As though she needs me and I can’t even explain how that makes me feel.

A swell of protectiveness overtakes me. Keeping her safe means more to me than any business success or other lofty goal. I want to know what she ate for breakfast, if she slept well. I want to know when she’s sad or angry and be the confidant she chooses. Her arms around my waist mean more than just her holding on for this short ride.It means she needs me. Nothing more powerful has ever swept through me like that thought.

The late summer wind is cooling my face, and my little bird is hanging onto me as we make our way through the city streets. I’m so damn proud to have her on the back of my bike. I want to show her off to the world. Show them what I already know is mine.

I feel her press her head into my back and squeeze a bit tighter as I round a turn onto her street. Damn, it feels good. Then I see what’s up ahead.

In front of us, flashing yellow, blue and red lights in a blinding mass take me straight back to that day my world changed. I grit my teeth against the memory and shake it off. Slowing my bike toward the barricades at the corner, I think about my breathing for a moment. Center myself.

Cops and utility workers, fire trucks and people are swarming everywhere. I’ve made my peace with the cops in this town, but it’s a tenuous truce. Too much history there on both sides. I don’t expect special treatment but I’m no longer on their radar either.

As I get off the bike, CeeCee’s wide eyes take in the chaos. This is where she lives, but I have no idea if she’s going to be allowed into her place. Something big is going on. I help her off the bike, unhook her helmet. She needs someone to take care of her, now and for the next hundred or so years.

The look of fear and confusion in her eyes makes my heart ache. I want to scoop her up and hold her against me and make sure she never fears anything ever again. But I can’t, not yet.Instead, I lean down and give her a soft kiss. She lets me do it, and I stroke her hair for a moment until her lips soften under mine.

“Stay here,” I whisper, “and don’t worry. I’ll go ask what’s going on, okay?”

She nods, and I turn to see a tiny woman scurrying our way. It’s been years, but I immediately recognize Mrs. Takashima. I know this neighborhood well, and she’s an old friend, one of my many pseudo mothers from when I ran the streets as a young punk.

[Unrelated to this entry: calculated crystals]
~~~
No. 1
This entry pairs a crystal structure of Sr2ErCd10 with its calculated powder diffractogram. Radiation: λ = 1.5418 Å (Cu Kα). Structure: a GGA-PBE-relaxed structure.

Main lines, by angle (10° ≤ 2θ ≤ 90°):
| Position (°2θ) | d [Å] | intensity | (hkl) |
| --- | --- | --- | --- |
| 13.9 | 6.387 | 100 | 0 0 1 |
| 31.2 | 2.868 | 43 | 1 4 1 |
| 32.4 | 2.762 | 41 | 1 2 2 |
| 32.9 | 2.725 | 59 | 3 1 1 |
| 34.8 | 2.581 | 43 | 2 1 2 |
| 38.2 | 2.357 | 43 | 2 5 0 |
| 39.8 | 2.264 | 22 | 1 4 2 |
| 41.2 | 2.193 | 33 | 3 1 2 |

Structural model:
```
data_Sr2ErCd10
_chemical_formula_sum 'Sr4 Er2 Cd20'
_cell_length_a 9.2682
_cell_length_b 13.6862
_cell_length_c 6.3874
_cell_angle_alpha 90.00
_cell_angle_beta 90.00
_cell_angle_gamma 90.00
_symmetry_space_group_name_H-M 'P b a m'
_symmetry_Int_Tables_number 55
loop_
_symmetry_equiv_pos_as_xyz
'x,y,z'
'-x,-y,-z'
'-x,-y,z'
'x,y,-z'
'x+1/2,-y+1/2,-z'
'-x+1/2,y+1/2,z'
'-x+1/2,y+1/2,-z'
'x+1/2,-y+1/2,z'
loop_
_atom_site_label
_atom_site_fract_x
_atom_site_fract_y
_atom_site_fract_z
_atom_site_occupancy
Sr1 0.2016 0.0925 0.0000 1
Er1 0.0000 0.0000 0.5000 1
Cd1 0.0960 0.2260 0.5000 1
Cd2 0.1373 0.6398 0.5000 1
Cd3 0.1493 0.8305 0.2210 1
Cd4 0.1522 0.4382 0.5000 1
```

***

No. 2
This entry pairs a crystal structure of Tb4Er3Cd with its calculated powder diffractogram. Radiation: λ = 1.5418 Å (Cu Kα). Structure: a GGA-PBE-relaxed structure.

Main lines, by angle (10° ≤ 2θ ≤ 90°):
| Position (°2θ) | d [Å] | intensity | (hkl) |
| --- | --- | --- | --- |
| 31.4 | 2.849 | 100 | 1 0 4 |
| 35.8 | 2.510 | 37 | 1 1 0 |
| 37.7 | 2.388 | 13 | 0 0 8 |
| 51.5 | 1.775 | 13 | 2 0 0 |
| 52.9 | 1.730 | 19 | 1 1 8 |
| 61.6 | 1.507 | 29 | 2 1 4 |
| 64.1 | 1.453 | 8 | 1 0 12 |
| 65.5 | 1.425 | 10 | 2 0 8 |

Structural model:
```
data_Tb4Er3Cd
_chemical_formula_sum 'Tb4 Er3 Cd1'
_cell_length_a 3.5502
_cell_length_b 3.5502
_cell_length_c 19.1055
_cell_angle_alpha 90.00
_cell_angle_beta 90.00
_cell_angle_gamma 90.00
_symmetry_space_group_name_H-M 'P 4/m m m'
_symmetry_Int_Tables_number 123
_symmetry_space_group_name_Hall '-P 4 2'
loop_
_atom_site_label
_atom_site_fract_x
_atom_site_fract_y
_atom_site_fract_z
_atom_site_occupancy
Tb1 0.0000 0.0000 0.1103 1
Tb2 0.0000 0.0000 0.3699 1
Er1 0.5000 0.5000 0.2399 1
Er2 0.5000 0.5000 0.5000 1
Cd1 0.5000 0.5000 0.0000 1
```

***

No. 3
This entry pairs a crystal structure of Tb2Er3Cd with its calculated powder diffractogram. Radiation: λ = 1.5418 Å (Cu Kα). Structure: a GGA-PBE-relaxed structure.

Main lines, by angle (10° ≤ 2θ ≤ 90°):
| Position (°2θ) | d [Å] | intensity | (hkl) |
| --- | --- | --- | --- |
| 29.6 | 3.021 | 91 | 0 2 2 |
| 29.9 | 2.993 | 100 | 0 5 1 |
| 30.6 | 2.924 | 98 | 1 3 0 |
| 31.4 | 2.847 | 65 | 1 2 1 |
| 35.0 | 2.567 | 50 | 0 4 2 |
| 36.6 | 2.458 | 65 | 1 4 1 |
| 41.6 | 2.169 | 71 | 1 3 2 |
| 52.9 | 1.730 | 58 | 1 8 1 |

Structural model:
```
data_Tb2Er3Cd
_chemical_formula_sum 'Tb4 Er6 Cd2'
_cell_length_a 3.4218
_cell_length_b 16.8794
_cell_length_c 6.4676
~~~
[Here the entry continues]

She used to feed me and lecture me like I was her own. Everyone knew my mother, or lack thereof, and some took pity on me as I tried to grow up out here. One of the few good things I had in my life. We keep in touch even now. I try to pry her away from her grocery at least once a month for lunch, but she loves her work almost as much as I love mine.

“Thorne? CeeCee? What?” Mrs. Takashima’s excitement shows in the increase in pitch with each word. CeeCee steps up as I look from one to the other. “CeeCee, you can’t go inside. There a gas leak, the whole block closed. The building closed.”

“What happened?” I ask, leaning over to set a hand on CeeCee’s shoulder as she crosses her arms and bites her lip.

Mrs. Takashima shrugs. “Don’t know. Gas line broken. They say two days. Maybe more. No one can go in.”

“You two know each other?” I look at both women and they nod at each other, then look back at me.

“Mrs. Takashima rents me a room above her grocery. She’s become my second mother.”